July 11 2018 Minutes

Regular Meeting 
Wednesday, July 11, 2018
111 S. 1st Street 
Dayton, WA 99328



Mayor Craig George calls the meeting to order at approximately 7.00 p.m. Roll call:

Present: Mike Paris, Matt Wiens, Dain Nysoe, Bryon Kaczmarski, Kathy Berg

Absent: Zac Weatherford

Staff: Rocky Miller, Columbia County Sheriff; Meagan Bailey, Planning Director; Jim Costello, Public Works Director; Trina Cole, City Administrator


ACTION: Paris makes a motion. Bailey seconds the motion, and the motion carries unanimously approving the Consent Agenda as presented:

  • Approval of the May 9, 2018 City Council Meeting Minutes;
  • Approval of the June 13, 2018 City Council Meeting Minutes as amended;
  • Approval of the following vouchers for payment:

           Claims: 45802-45809; 45826-45867        $430,889.51

           Payroll: 45810-45825; 45868-45896        $  88, 225.86

                                                        Total         $519,115.37;

# Attached: calculated crystals
#1
DFT (PBE-GGA) results for Ba2PbS after structural relaxation.

## Properties
The total moment is 0.0 Bohr magnetons per cell. Its space group is No. 122.

Cell: 8.718 8.718 9.163 Å, 90.00 90.00 90.00°
Element x y z (fractional)
Ba 0.197 0.250 0.125
Ba 0.250 0.697 0.375
Ba 0.250 0.803 0.875
Ba 0.303 0.250 0.625
Ba 0.697 0.750 0.625
Ba 0.750 0.197 0.875
Ba 0.750 0.303 0.375
Ba 0.803 0.750 0.125
Pb 0.000 0.000 0.500
Pb 0.000 0.500 0.750
Pb 0.500 0.000 0.250
Pb 0.500 0.500 0.000
S 0.000 0.000 0.000
S 0.000 0.500 0.250
S 0.500 0.000 0.750
S 0.500 0.500 0.500

#2
DFT (PBE-GGA) results for Ba2PbS after structural relaxation.

## Properties
The total moment is 8.0 Bohr magnetons per cell. Its space group is No. 225.

Cell: 8.325 8.325 8.325 Å, 90.00 90.00 90.00°
Element x y z (fractional)
Ba 0.250 0.250 0.250
Ba 0.250 0.250 0.750
Ba 0.250 0.750 0.250
Ba 0.250 0.750 0.750
Ba 0.750 0.250 0.250
Ba 0.750 0.250 0.750
Ba 0.750 0.750 0.250
Ba 0.750 0.750 0.750
Pb 0.000 0.000 0.000
Pb 0.000 0.500 0.500
Pb 0.500 0.000 0.500
Pb 0.500 0.500 0.000
S 0.000 0.000 0.500
S 0.000 0.500 0.000
S 0.500 0.000 0.000
S 0.500 0.500 0.500

Q: Which of them is the least stable? A: #2.

#1
DFT (PBE-GGA) results for BaSbPb after structural relaxation.

## Properties
The total moment is 0.0 Bohr magnetons per cell. Its space group is No. 8.

Cell: 13.271 4.826 7.270 Å, 90.00 94.33 90.00°
Element x y z (fractional)
Ba 0.000 0.000 0.000
Ba 0.202 0.500 0.628
Ba 0.500 0.500 0.000
Ba 0.702 0.000 0.628
Sb 0.018 0.000 0.492
Sb 0.306 0.000 0.970
Sb 0.518 0.500 0.492
Sb 0.806 0.500 0.970
Pb 0.199 0.500 0.141
Pb 0.375 0.000 0.397
Pb 0.699 0.000 0.141
Pb 0.875 0.500 0.397

#2
DFT (PBE-GGA) results for BaSbPb after structural relaxation.

## Properties
The total moment is 0.0 Bohr magnetons per cell. Its space group is No. 36.

Cell: 4.966 12.643 7.006 Å, 90.00 90.00 90.00°
Element x y z (fractional)
Ba 0.000 0.181 0.000
Ba 0.000 0.819 0.500
Ba 0.500 0.319 0.500
Ba 0.500 0.681 0.000
Sb 0.000 0.117 0.502
Sb 0.000 0.883 0.002
Sb 0.500 0.383 0.002
Sb 0.500 0.617 0.502
Pb 0.000 0.497 0.233
Pb 0.000 0.503 0.733
Pb 0.500 0.003 0.733
Pb 0.500 0.997 0.233

#3
DFT (PBE-GGA) results for BaSbPb after structural relaxation.

## Properties
The total moment is 0.0 Bohr magnetons per cell. Its space group is No. 71.

Cell: 5.226 9.325 9.537 Å, 90.00 90.00 90.00°
Element x y z (fractional)
Ba 0.000 0.000 0.242
Ba 0.000 0.000 0.758
Ba 0.500 0.500 0.258
Ba 0.500 0.500 0.742
Sb 0.000 0.336 0.500
Sb 0.000 0.664 0.500
Sb 0.500 0.164 0.000
Sb 0.500 0.836 0.000
Pb 0.000 0.334 0.000
Pb 0.000 0.666 0.000
Pb 0.500 0.166 0.500
Pb 0.500 0.834 0.500

Q: Which of them is the least stable? A: #3.

#1
DFT (PBE-GGA) results for BaSbPb after structural relaxation.

## Properties
The total moment is 0.0 Bohr magnetons per cell. Its space group is No. 216.

Cell: 7.967 7.967 7.967 Å, 90.00 90.00 90.00°
Element x y z (fractional)
Ba 0.000 0.000 0.000
Ba 0.000 0.500 0.500
Ba 0.500 0.000 0.500
Ba 0.500 0.500 0.000

  • Affirm Mayor Geoge's Appointments to the Dayton Planning Commision as follows:

           Laura Aukerman - Unexpired Term: July 12, 2018 - March 2022

           Ashley Beebe - July 12, 2018 - March 2021.


Doug Johnson, S. 1st Street, expresses that there are lanscaping issues associated with the S. 1st Street Reconstruction Project. The planting strip located between the sidewalk and street are not repaired correctly. He thanks the City for attempting to rectify the issue by having the landscaper return and address it, but feels the landscaper did a poor job and the problems are worse. City will contact the project manager to re-address the issue with Smith Brothers, Inc.


Public Safety- Nysoe reports: The City received a request to install ADA parking stalls on Main Street; after examining the parking situation on Main Street, it was determined that there are two ADA compliant spaces near the court house, but the spaces need repainting; and, the City should consider modifying the motorcycle parking located on Main Street at the corner of Main Street and S. 1st or installing ADA space on S. 1st Street of the same corner. D. Bailey expresses concern regarding modifying the Main Steet motorcycle parking area due to it also being Highway 12. There is no action.

D. Bailey recommends that Main Street (Highway 12) be painted. Costello states that is scheduled to be painted in the next few weeks.

Public Works- There is no report.

Finance- George requests that the Council hold a workshop on July 23 to discuss establishing a rate structure that will address infrastructure capital improvement needs,

Parks/Public Grounds- D. Bailey reports that the City is moving forward with forming a committee to study the Main Street tree issues.

Planning/Economic Development- There is no report.

Personnel- There is no report.

Emergency Management- There is no report.

Chamber of Commerce- Berg reports: All-Wheels Weekend had 300 cars and was a success; and 2.) Chamber office is now open Monday - Saturday.

Commissioners- There is no report.


Sheriff- Miller reports that the County hired a new deputy and is hopeful that an additional deputy will be hired on Monday filling all the road deputy positions.

Public Works- Costello reports that FEMA Street Repairs are underway and will be completed by the end of September.

Planning Director/Code Compliance- M. Bailey reports: 1) Property on W. Spring Street has had several piles of junk and vehicles have been removed from the property and weeds sprayed; 2) New members to both the Planning Commission and Historic Preservation Commissions; 3) Received a request from the Chamber to allow music downtown on Saturdays from 9:00 a.m. - 9:00 p.m. There is no code against it, but she asked the chamber to be mindful of the noise levels to avoid a nuisance. Wiens recommends that the Chamber contact business owners to avoid opposing music at establishments; and, Qualification submittals for the Comprehensive Plan Update have been received and are being rated for consultant selection.

City Clerk-Treasurer- There is no report.

Mayor Pro-Tempore- There is no report.

Mayor- George schedules a Planning Committee meeting to discuss planning and code compliance contracts for July 13. He reports that then City received a note from Bette Lou Crothers thanking the City for its help during All-Wheels Weekend.



ACTION: Bailey makes a motion; Berg seconds the motion to table the consultant services agreement with ORB Architects to perform Dayton Swimming Pool Facility Condition Assessment until next regular meeting in August. There is no discussion. The motion carries unanimously.

ACTION: Bailey makes a motion; Berg seconds the motion to authorize a cost reimbursement agreement with Seneca Corporation for street improvements. Discussion ensues regarding the locations of the improvements. Motion carries unanimously.

ACTION: Bailey makes a motion; Berg seconds the motion to approve Resolution No. 1345, Certifying that the City meets the requirements to apply and accept a Public Works Assistance Account Low-Interest Loan for the Wastewater Treatment Facility Land Acquisition Project for up to $1,000,000. There is no discussion. The motion carries unanimously.

ACTION: Nysoe makes a motion; Paris seconds the motion to approve Resolution No. 1346, certifying the preparer of the Washington State Public Works Assistance Account Loan Application for the Wastewater Treatment Facility Land Acquisition Project. There is no discussion. The motion carries unanimously.


Nysoe commends the Columbia County Sheriff's Office for catching the individual that was peering into resident's windows along S. 1st Street.

Paris thanks the Columbia County Sheriff's Office for assistance during the recent pedestrian versus car accident that he was involved in.


With no further business to come before the Council, the regular meeting is adjourned at 6.45 p.m.


July 11, 2018 Regular Meeting Minutes PDF